┌──
1.
Here is C3H4AgO2 as an isolated structure at a distorted geometry from OMol25. Energies are from ωB97M-V/def2-TZVPD.

```
10
Properties=species:S:1:pos:R:3:lowdin_charge:R:1
O 2.09 0.21 0.57 -0.21
C 2.85 1.07 0.08 -0.55
C -2.76 -0.61 -0.92 -0.09
O 3.94 1.51 0.41 -0.02
C -2.86 -0.45 0.41 -0.09
H -2.84 -1.60 -1.38 0.06
H -2.64 0.25 -1.58 0.06
H -3.01 -1.31 1.07 0.06
H -2.81 0.54 0.87 0.06
Ag 0.07 -0.85 -0.01 0.74
```

- LUMO level (spin up / spin down): -0.056 / -0.056 Ha
- Maximum force: 2.3 eV Å⁻¹
- Total charge: 0
- Energy relative to the best compared isomer or geometry (same formula, charge and spin): 0.00 kcal/mol
- 2S+1: 2
- Kohn-Sham gap (spin up / spin down): 4.3177 / 7.6934 eV

***

2.
Here is C3H4AgO4 as an isolated structure at a distorted geometry from OMol25. Energies are from ωB97M-V/def2-TZVPD.

```
12
Properties=species:S:1:pos:R:3:lowdin_charge:R:1
C 1.13 -1.02 0.85 -0.09
C 0.22 -0.50 -0.13 -0.14
O 0.46 0.90 -0.40 -0.02
C -0.57 1.67 -0.64 -0.79
O -1.50 1.23 -1.40 -0.16
O -0.96 2.52 0.22 -0.13
O 1.90 -2.09 0.34 -0.04
Ag -2.88 1.79 0.04 0.82
H 1.80 -0.24 1.27 0.13
H -1.29 -0.34 0.36 0.21
H 1.48 -2.92 0.58 0.09
H 0.20 -1.00 -1.11 0.13
```

- LUMO level (spin up / spin down): -0.038 / -0.048 Ha
- Maximum force: 5.0 eV Å⁻¹
- Total charge: 0
- Energy relative to the best compared isomer or geometry (same formula, charge and spin): 78.29 kcal/mol
- 2S+1: 2
- Kohn-Sham gap (spin up / spin down): 7.8077 / 7.5347 eV

***

3.
Here is C3H4AlO3 as an isolated structure at a distorted geometry from OMol25. Energies are from ωB97M-V/def2-TZVPD.

```
11
Properties=species:S:1:pos:R:3:lowdin_charge:R:1
O 1.84 -0.38 0.21 -0.14
C 1.30 0.82 0.59 -0.24
C -0.08 1.01 0.00 -0.08
O -0.22 0.53 -1.19 -0.01
Al 0.61 -1.18 -0.74 0.71
H 1.89 1.71 0.27 0.17
H 1.16 0.94 1.69 0.16
H -0.65 1.91 0.27 0.17
C -1.11 -1.31 0.06 0.09
O -2.15 -1.61 -0.71 0.02
H -2.59 -2.44 -0.45 0.16
```

- LUMO level (spin up / spin down): -0.228 / -0.239 Ha
- Maximum force: 4.2 eV Å⁻¹
- Total charge: +1
- Energy relative to the best compared isomer or geometry (same formula, charge and spin): 80.59 kcal/mol
- Kohn-Sham gap (spin up / spin down): 6.9522 / 7.2023 eV

***

4.
Here is C3H4BiO4 as an isolated structure at a distorted geometry from OMol25. Energies are from ωB97M-V/def2-TZVPD.

```
12
Properties=species:S:1:pos:R:3:lowdin_charge:R:1
C -0.30 1.66 -0.08 -0.25
C 0.76 0.82 -0.44 -0.10
O -0.72 -1.77 -1.73 0.08
C -0.55 -2.20 -0.56 -0.84
O 0.66 -2.48 -0.10 -0.23
O -1.28 -1.80 0.45 -0.23
O -0.39 2.34 1.01 0.04
H -1.29 1.49 -0.54 0.16
H 1.26 0.07 -1.05 0.08
H 1.71 1.32 -0.22 0.09
Bi 0.40 -1.10 1.36 1.96
H -0.27 1.64 1.91 0.23
```

- LUMO level: -0.263 Ha
- Maximum force: 8.1 eV Å⁻¹
- Total charge: +1
- Energy relative to the best compared isomer or geometry (same formula, charge and spin): 63.53 kcal/mol
- Kohn-Sham gap: 7.3027 eV

***

5.
Here is a 2-piece molecular cluster, C3H4Br2Cl2O overall at a distorted geometry from OMol25. Energies are from ωB97M-V/def2-TZVPD.

```
12
Properties=species:S:1:pos:R:3:lowdin_charge:R:1
C -0.09 0.52 0.59 -0.61
C -1.34 0.23 -0.09 -0.81
C 2.12 -0.62 -0.46 -1.24
O -2.36 0.24 0.77 -0.03
Cl -1.23 -1.52 -0.89 0.50
Cl 2.89 0.61 -1.28 0.58
Br 0.43 2.33 0.65 0.74
Br 3.01 -1.53 0.85 0.69
H -0.03 0.04 1.56 0.07
H -1.63 0.68 -1.02 0.08
H 1.43 -1.14 -0.94 -0.10
H -3.19 0.15 0.28 0.12
```

- LUMO level (spin up / spin down): 0.020 / -0.062 Ha
- Maximum force: 3.6 eV Å⁻¹
- Total charge: 0
- Energy relative to the best compared isomer or geometry (same formula, charge and spin): 0.00 kcal/mol
- 2S+1: 3
- Kohn-Sham gap (spin up / spin down): 8.1603 / 9.1271 eV

***

6.
Here is one molecule with the formula C3H4Br2N2 at a distorted geometry from OMol25. Energies are from ωB97M-V/def2-TZVPD.

```
11
Properties=species:S:1:pos:R:3:lowdin_charge:R:1
Br 2.19 0.48 2.11 0.84
C 1.03 0.28 0.75 -0.72
N 1.49 -0.54 -0.56 0.02
N 0.38 -0.77 -1.14 -0.43
Br 0.21 0.37 -3.01 0.32
C -0.79 -0.45 -0.32 -0.26
C -0.37 0.49 0.81 -0.24
H -0.98 -1.47 0.18 0.15
└──

Please retype the rows further above without additions.

1.
Here is C3H4AgO2 as an isolated structure at a distorted geometry from OMol25. Energies are from ωB97M-V/def2-TZVPD.

```
10
Properties=species:S:1:pos:R:3:lowdin_charge:R:1
O 2.09 0.21 0.57 -0.21
C 2.85 1.07 0.08 -0.55
C -2.76 -0.61 -0.92 -0.09
O 3.94 1.51 0.41 -0.02
C -2.86 -0.45 0.41 -0.09
H -2.84 -1.60 -1.38 0.06
H -2.64 0.25 -1.58 0.06
H -3.01 -1.31 1.07 0.06
H -2.81 0.54 0.87 0.06
Ag 0.07 -0.85 -0.01 0.74
```

- LUMO level (spin up / spin down): -0.056 / -0.056 Ha
- Maximum force: 2.3 eV Å⁻¹
- Total charge: 0
- Energy relative to the best compared isomer or geometry (same formula, charge and spin): 0.00 kcal/mol
- 2S+1: 2
- Kohn-Sham gap (spin up / spin down): 4.3177 / 7.6934 eV

***

2.
Here is C3H4AgO4 as an isolated structure at a distorted geometry from OMol25. Energies are from ωB97M-V/def2-TZVPD.

```
12
Properties=species:S:1:pos:R:3:lowdin_charge:R:1
C 1.13 -1.02 0.85 -0.09
C 0.22 -0.50 -0.13 -0.14
O 0.46 0.90 -0.40 -0.02
C -0.57 1.67 -0.64 -0.79
O -1.50 1.23 -1.40 -0.16
O -0.96 2.52 0.22 -0.13
O 1.90 -2.09 0.34 -0.04
Ag -2.88 1.79 0.04 0.82
H 1.80 -0.24 1.27 0.13
H -1.29 -0.34 0.36 0.21
H 1.48 -2.92 0.58 0.09
H 0.20 -1.00 -1.11 0.13
```

- LUMO level (spin up / spin down): -0.038 / -0.048 Ha
- Maximum force: 5.0 eV Å⁻¹
- Total charge: 0
- Energy relative to the best compared isomer or geometry (same formula, charge and spin): 78.29 kcal/mol
- 2S+1: 2
- Kohn-Sham gap (spin up / spin down): 7.8077 / 7.5347 eV

***

3.
Here is C3H4AlO3 as an isolated structure at a distorted geometry from OMol25. Energies are from ωB97M-V/def2-TZVPD.

```
11
Properties=species:S:1:pos:R:3:lowdin_charge:R:1
O 1.84 -0.38 0.21 -0.14
C 1.30 0.82 0.59 -0.24
C -0.08 1.01 0.00 -0.08
O -0.22 0.53 -1.19 -0.01
Al 0.61 -1.18 -0.74 0.71
H 1.89 1.71 0.27 0.17
H 1.16 0.94 1.69 0.16
H -0.65 1.91 0.27 0.17
C -1.11 -1.31 0.06 0.09
O -2.15 -1.61 -0.71 0.02
H -2.59 -2.44 -0.45 0.16
```

- LUMO level (spin up / spin down): -0.228 / -0.239 Ha
- Maximum force: 4.2 eV Å⁻¹
- Total charge: +1
- Energy relative to the best compared isomer or geometry (same formula, charge and spin): 80.59 kcal/mol
- Kohn-Sham gap (spin up / spin down): 6.9522 / 7.2023 eV

***

4.
Here is C3H4BiO4 as an isolated structure at a distorted geometry from OMol25. Energies are from ωB97M-V/def2-TZVPD.

```
12
Properties=species:S:1:pos:R:3:lowdin_charge:R:1
C -0.30 1.66 -0.08 -0.25
C 0.76 0.82 -0.44 -0.10
O -0.72 -1.77 -1.73 0.08
C -0.55 -2.20 -0.56 -0.84
O 0.66 -2.48 -0.10 -0.23
O -1.28 -1.80 0.45 -0.23
O -0.39 2.34 1.01 0.04
H -1.29 1.49 -0.54 0.16
H 1.26 0.07 -1.05 0.08
H 1.71 1.32 -0.22 0.09
Bi 0.40 -1.10 1.36 1.96
H -0.27 1.64 1.91 0.23
```

- LUMO level: -0.263 Ha
- Maximum force: 8.1 eV Å⁻¹
- Total charge: +1
- Energy relative to the best compared isomer or geometry (same formula, charge and spin): 63.53 kcal/mol
- Kohn-Sham gap: 7.3027 eV

***

5.
Here is a 2-piece molecular cluster, C3H4Br2Cl2O overall at a distorted geometry from OMol25. Energies are from ωB97M-V/def2-TZVPD.

```
12
Properties=species:S:1:pos:R:3:lowdin_charge:R:1
C -0.09 0.52 0.59 -0.61
C -1.34 0.23 -0.09 -0.81
C 2.12 -0.62 -0.46 -1.24
O -2.36 0.24 0.77 -0.03
Cl -1.23 -1.52 -0.89 0.50
Cl 2.89 0.61 -1.28 0.58
Br 0.43 2.33 0.65 0.74
Br 3.01 -1.53 0.85 0.69
H -0.03 0.04 1.56 0.07
H -1.63 0.68 -1.02 0.08
H 1.43 -1.14 -0.94 -0.10
H -3.19 0.15 0.28 0.12
```

- LUMO level (spin up / spin down): 0.020 / -0.062 Ha
- Maximum force: 3.6 eV Å⁻¹
- Total charge: 0
- Energy relative to the best compared isomer or geometry (same formula, charge and spin): 0.00 kcal/mol
- 2S+1: 3
- Kohn-Sham gap (spin up / spin down): 8.1603 / 9.1271 eV

***

6.
Here is one molecule with the formula C3H4Br2N2 at a distorted geometry from OMol25. Energies are from ωB97M-V/def2-TZVPD.

```
11
Properties=species:S:1:pos:R:3:lowdin_charge:R:1
Br 2.19 0.48 2.11 0.84
C 1.03 0.28 0.75 -0.72
N 1.49 -0.54 -0.56 0.02
N 0.38 -0.77 -1.14 -0.43
Br 0.21 0.37 -3.01 0.32
C -0.79 -0.45 -0.32 -0.26
C -0.37 0.49 0.81 -0.24
H -0.98 -1.47 0.18 0.15